-- Entries --
┌──
No. 1
This record from OMol25 describes C18H23N3O4S2 in the gas phase. The level of theory is ωB97M-V with the def2-TZVPD basis set.

## Properties
SMILES string	COCCn1/c(=N/C(=O)CSCC(=O)N2CCOCC2)sc2ccccc21
maximum force	0.94	eV/A
HOMO energy	-8.31	eV
E	-1961.3322	hartree

```
50
Properties=species:S:1:pos:R:3:mulliken_charge:R:1
C -0.2693 1.8127 1.9807 -0.48
O -1.6647 1.8611 1.7743 -0.37
C -2.0477 2.3594 0.5222 -0.46
C -1.8593 1.3454 -0.6230 -0.64
N -2.6045 0.1377 -0.3533 0.35
C -2.0137 -0.9358 0.1911 0.41
N -0.7292 -1.0204 0.3675 -0.09
C -0.2823 -2.1705 0.9221 0.38
O -1.0061 -3.1085 1.2285 -0.68
C 1.2133 -2.1871 1.1089 -0.37
S 2.0367 -2.7124 -0.4295 -0.14
C 1.6665 -1.3085 -1.5380 -1.06
C 2.2036 0.0174 -1.0392 0.79
O 1.4354 0.9273 -0.7669 -0.71
N 3.5374 0.1616 -0.9280 0.09
C 4.5644 -0.8211 -1.1939 -0.72
C 5.3172 -1.1169 0.1106 -0.43
O 5.8534 0.0594 0.6703 -0.39
C 4.8440 1.0067 0.9330 -0.55
C 4.0846 1.3728 -0.3459 -0.62
S -3.1429 -2.2127 0.5902 -0.25
C -4.4526 -1.2021 -0.0007 0.66
C -5.8033 -1.5026 -0.0435 -0.74
C -6.6756 -0.5615 -0.5570 -0.53
C -6.2039 0.6603 -1.0241 -0.82
C -4.8575 0.9692 -0.9847 -0.59
C -3.9757 0.0293 -0.4648 0.50
H -0.1282 1.4102 2.9817 0.25
H 0.1645 2.8187 1.9247 0.36
H 0.2263 1.1685 1.2510 0.09
H -3.1086 2.6072 0.6271 0.40
H -1.4861 3.2714 0.2731 0.38
H -0.8042 1.0765 -0.7124 -0.11
H -2.2061 1.7826 -1.5616 0.45
H 1.4978 -2.9301 1.8518 0.55
H 1.5813 -1.1964 1.3714 0.04
H 2.0884 -1.5796 -2.5052 0.53
H 0.5829 -1.2207 -1.6162 0.37
H 5.2647 -0.3958 -1.9229 0.30
H 4.1442 -1.7422 -1.5883 0.44
H 4.6286 -1.5990 0.8205 0.24
H 6.1624 -1.7798 -0.0775 0.34
H 4.1355 0.6071 1.6753 0.32
H 5.3452 1.8820 1.3484 0.34
H 4.7718 1.8345 -1.0627 0.29
H 3.2616 2.0548 -0.1305 0.37
H -6.1549 -2.4551 0.3193 0.41
H -7.7322 -0.7766 -0.5973 0.38
H -6.8996 1.3820 -1.4243 0.38
H -4.5035 1.9195 -1.3524 0.36
```

=====

No. 2
This record from OMol25 describes C18H23N3O5 in the gas phase in a non-equilibrium geometry. The level of theory is ωB97M-V with the def2-TZVPD basis set.

## Properties
SMILES string	Cc1cc(=O)n(C)c(=O)n1CCCCCCOc1ccc([N+](=O)[O-])cc1
maximum force	1.36	eV/A
HOMO energy	-8.99	eV
E	-1240.1340	hartree

```
49
Properties=species:S:1:pos:R:3:mulliken_charge:R:1
C 0.3835 5.1225 0.9082 -1.69
C 0.3377 3.9133 0.0303 1.52
C 0.6746 3.9961 -1.2751 -0.74
C 0.5716 2.8689 -2.1630 0.36
O 0.8723 2.8529 -3.3373 -0.67
N 0.0529 1.7188 -1.5552 0.13
C -0.1718 0.5810 -2.4298 -1.20
C -0.2649 1.5916 -0.2280 0.53
O -0.6844 0.5521 0.2401 -0.65
N -0.0793 2.7211 0.5619 0.19
C -0.3772 2.5679 1.9775 -1.50
C 0.8579 2.3413 2.8574 -0.48
C 1.6152 1.0521 2.5256 -0.20
C 2.7161 1.2514 1.4833 -0.16
C 3.4144 -0.0567 1.1068 -1.45
C 2.5394 -0.9897 0.2720 -0.14
O 1.5833 -1.6003 1.1204 -0.41
C 0.5186 -2.2207 0.5888 0.46
C -0.4873 -2.5883 1.4946 -0.44
C -1.6246 -3.2180 1.0575 -0.46
C -1.7756 -3.4993 -0.3000 -0.20
N -2.9629 -4.1454 -0.7641 1.02
O -3.0722 -4.3453 -1.9589 -0.63
O -3.7988 -4.4613 0.0605 -0.63
C -0.7783 -3.1573 -1.2055 -0.48
C 0.3652 -2.5256 -0.7662 -0.26
H 0.7624 5.9665 0.3399 0.39
H 1.0235 4.9714 1.7735 0.29
H -0.6161 5.3705 1.2638 0.33
H 1.0131 4.9214 -1.7078 0.42
H -0.6466 -0.2104 -1.8553 0.34
H -0.8102 0.8894 -3.2572 0.42
H 0.7791 0.2423 -2.8427 0.32
H -0.9271 3.4447 2.3237 0.58
H -1.0278 1.6936 2.0583 0.47
H 0.4944 2.2918 3.8855 0.38
H 1.5427 3.1890 2.7925 0.23
H 2.0787 0.6643 3.4349 0.67
H 0.9063 0.3058 2.1733 -0.36
H 2.3084 1.7048 0.5773 0.01
H 3.4640 1.9409 1.8846 0.43
H 3.7200 -0.5850 2.0109 0.36
H 4.3084 0.1712 0.5237 0.49
H 3.1618 -1.7645 -0.1969 0.49
H 2.0321 -0.4189 -0.5147 0.01
H -0.3463 -2.3505 2.5365 0.46
H -2.4124 -3.4943 1.7410 0.47
H -0.9145 -3.3938 -2.2500 0.48
H 1.1353 -2.2778 -1.4787 0.50
```

=====

No. 3
This record from OMol25 describes a molecular structure, C18H23N5O3Rb in a non-equilibrium geometry. The level of theory is ωB97M-V with the def2-TZVPD basis set.

## Properties
total charge	+1
maximum force	3.98	eV/A
HOMO energy	-10.63	eV
E	-1223.1335	hartree

```
50
Properties=species:S:1:pos:R:3:mulliken_charge:R:1
└──

-- To do --
Work out how many lines earlier on have the word "structure" in them; a number is enough.

-- Here it is --
1